Sunday, January 31, 2010

Let's take one step at a time

Official rule of thumb never be surprised when God shows up in ways you thought were too small. Today was a wonderful day to spend with friends and God. Although it didn't go the way I expected He came through.

Some may know that on February 19th, my mom and step dad will officially be divorced. When I found out a few months ago, my heart was a mess. I was angry. So very angry that my parents failed their marriage. I was bitter and hurtful towards them. I was the only one of the kids that knew and it hurt even more that I was holding a nasty secret and hiding emotions they didn't know they too were going to be feeling.

However, my heart has began to soften and I am understanding that it's not me that my mom and step dad look to, but God. Despite their feelings and decisions, the Lord loves them. This is humbling and also very comforting.

Today my sisters found out. Faith is well. She is strong and finds hope in God which I'm so thankful for. Lacie is about the same. Her heart is hurt, but because she is young she doesn't see the hardship that will come. I sometimes wonder if that is a blessing in disguise!?! Kirstin, however is hurt. She is 13 and at that age everything is painful. She is a very sensitive woman and she also holds a lot in. I'm praying that she continues her walk with God and express those frustrations with HIM. If you think of it, pray for my family's hearts especially Kirstin.

I have a good feeling that if this divorce does not miraculously disappear, which I have faith it still could, that our family will grow closer in love, at least us kids. My siblings and I have grown so much closer in the past year through this and I am encouraged by that.

The verses I shared with my sisters was James 1:2-4 My brethren, count it all joy when ye fall into divers temptations;Knowing this, that the trying of your faith worketh patience. But let patience have her perfect work, that ye may be perfect and entire, wanting nothing.

and the Lords Prayer, Psalm 23:4 Yea, though I walk through the valley of the shadow of death, I will fear no evil: for thou art with me; thy rod and thy staff they comfort me.

If anyone has any other verses that could comfort us all I will greatly accept them.

Saturday, January 30, 2010

Blessing the Spaghetti

The last seven hours of tonight I have spent with all very special people. After the emotional day I experienced I wanted to go home and finish it alone locked in my room, but I had an event to attend with my fellow CRU behind the scenes people. I was bringing the salad to go along with our spaghetti dinner. My heart for the night was burdened with much thought about life and responsibility, I didn't want to spend my night discussing feelings.

So as I shopped for the ranch dressing and the perfect romaine lettuce I prayed for clarity and patience. Oh, how the Lord answers prayers!

After the delicious spaghetti that Troy and Adam made for us, we played a game. The game was serious, where we needed to share the heritage of our lives, the hand of God visible in our lives, the hardships we have experienced, and the happiest moments in our lives.

As we went around the room sharing in a group of twelve our hearts poured out. Never before have I felt so vulnerable with a group like this. I couldn't believe the amount of hurt we have all experienced and the amount of joy that has come from these struggles. God was so present in our sharing. He made sure that everyone of our stories affected all the others in someway.

Next to the entry, the page also holds calculated crystals:
┌──
# 1
Pr3Ho | GGA-PBE | optimized geometry

Computed properties:
calculated formation energy = 0.016 eV/atom

Unit cell a=6.3517 b=6.3517 c=6.3517 alpha=131.80 beta=131.80 gamma=70.55
Closest atoms and distances in Å follow each position.
Fractional coordinates of all 4 atoms:
Pr 0.5000 0.5000 0.0000  8 Pr 3.67, 4 Ho 3.67
Pr 0.2500 0.7500 0.5000  8 Pr 3.67, 4 Ho 3.67
Pr 0.7500 0.2500 0.5000  8 Pr 3.67, 4 Ho 3.67
Ho 0.0000 0.0000 0.0000  12 Pr 3.67

---

# 2
Nb2Ni15Sn2 | GGA-PBE | optimized geometry

Computed properties:
calculated formation energy = -0.037 eV/atom

Unit cell a=6.3287 b=6.3287 c=6.3287 alpha=81.77 beta=81.77 gamma=81.77
Closest atoms and distances in Å follow each position.
Fractional coordinates of all 19 atoms:
Ni 0.3100 0.0000 0.6900  8 Ni 2.44-2.57
Ni 0.6900 0.0000 0.3100  8 Ni 2.44-2.57
Ni 0.3100 0.6900 0.0000  8 Ni 2.44-2.57
Ni 0.6549 0.6549 0.1635  8 Ni 2.36-2.54, 1 Nb 2.58
Ni 0.6900 0.3100 0.0000  8 Ni 2.44-2.57
Ni 0.8365 0.3451 0.3451  8 Ni 2.36-2.54, 1 Nb 2.58
Ni 0.0000 0.6900 0.3100  8 Ni 2.44-2.57
Ni 0.0000 0.5000 0.0000  8 Ni 2.41-2.44, 2 Nb 2.51
Ni 0.3451 0.8365 0.3451  8 Ni 2.36-2.54, 1 Nb 2.58
Ni 0.3451 0.3451 0.8365  8 Ni 2.36-2.54, 1 Nb 2.58
Ni 0.0000 0.3100 0.6900  8 Ni 2.44-2.57
Ni 0.1635 0.6549 0.6549  8 Ni 2.36-2.54, 1 Nb 2.58
Ni 0.5000 0.0000 0.0000  8 Ni 2.41-2.44, 2 Nb 2.51
Ni 0.0000 0.0000 0.5000  8 Ni 2.41-2.44, 2 Nb 2.51
Ni 0.6549 0.1635 0.6549  8 Ni 2.36-2.54, 1 Nb 2.58
Nb 0.1057 0.1057 0.1057  6 Ni 2.51-2.58, 1 Nb 2.63
Nb 0.8943 0.8943 0.8943  6 Ni 2.51-2.58, 1 Nb 2.63
Sn 0.6464 0.6464 0.6464  12 Ni 2.87-3.04, 1 Nb 3.08
Sn 0.3536 0.3536 0.3536  12 Ni 2.87-3.04, 1 Nb 3.08

---

# 3
NpPa2RhN5 | GGA-PBE | optimized geometry

Computed properties:
ΔE_f (raw) = -9.27 eV per formula unit

Unit cell a=3.4233 b=6.7899 c=10.4749 alpha=90.00 beta=90.00 gamma=104.60
Closest atoms and distances in Å follow each position.
Fractional coordinates of all 18 atoms:
N 0.3687 0.7374 0.0055  1 Rh 2.10, 1 Np 2.16
N 0.9450 0.8901 0.5808  1 Np 2.11, 2 Rh 2.23, 1 Pa 2.31
N 0.6699 0.3399 0.8575  1 Rh 2.17, 2 Np 2.38
N 0.2739 0.5479 0.6643  3 Pa 2.32-2.46, 2 Np 2.38
N 0.7261 0.4521 0.1643  3 Pa 2.32-2.46, 2 Np 2.38
N 0.4767 0.9534 0.7673  1 Rh 2.01
N 0.6313 0.2626 0.5055  1 Rh 2.10, 1 Np 2.16
N 0.5233 0.0466 0.2673  1 Rh 2.01
N 0.3301 0.6601 0.3575  1 Rh 2.17, 2 Np 2.38
N 0.0550 0.1099 0.0808  1 Np 2.11, 2 Rh 2.23, 1 Pa 2.31
Pa 0.8532 0.7064 0.8010  6 N 2.38-2.60
Pa 0.9015 0.8030 0.1880  4 N 2.31-2.49
Pa 0.0985 0.1970 0.6880  4 N 2.31-2.49
Pa 0.1468 0.2936 0.3010  6 N 2.38-2.60
Np 0.2046 0.4092 0.0089  2 N 2.11-2.16
Np 0.7954 0.5908 0.5089  2 N 2.11-2.16
Rh 0.5222 0.0445 0.9506  5 N 2.01-2.23
Rh 0.4778 0.9555 0.4506  5 N 2.01-2.23

---

# 4
Pr2SmRh9 | GGA-PBE | optimized geometry

Computed properties:
calculated formation energy = -0.495 eV/atom

Unit cell a=5.3231 b=5.3231 c=9.4183 alpha=73.58 beta=73.58 gamma=60.00
Closest atoms and distances in Å follow each position.
Fractional coordinates of all 12 atoms:
└──
The calculated crystals stop here:

I know that every story I heard, I felt so blessed to hear. I loved the trust that we shared and will continue to share in the future. As this group of leaders for CRU grows in number, our bond as the behind the scene members will become stronger. I'm so glad for this experience.

When our hearts were all laid out, we played some less serious games and stayed in a state of laughter for four hours. I'm so blessed to have a strong circle of friends.

Thank you Lord God, for the beautiful friendships that were established and made stronger tonight. You are so good to us when we do not deserve it. You give it to us anyway and that is an indescribable act of mercy. Thank you Lord Jesus!

Sunday, January 24, 2010

Hearts shared...

I know that what is said in a group is what stays in the group, however I just want to share with you how impressed I am with the hearts that some of these girls in Impact have. Many times I found myself jaw dropping amazed by their thoughts and knowledge about who Christ is, what he has done for us, and what we need to be for Him. For any mothers who may read this, I want you to know that your girls have amazed me and touched my heart. I have learned so much about the way a teenage girl thinks again. It really has not been that long but I forgot so easily. I feel so blessed to be a leader and to have been able to share that moment with them. I'm not worried that they wouldn't seek deeper relationships with each other and God while they spend time with one another . I ask the Lord to bless them tonight as they sleep and to soften their heart further throughout this lifetime.

Wednesday, January 20, 2010

The beginning...

As of two weeks ago, I was excepted to the College of Education at Eastern. I'm ecstatic, but apprehensive about the work load. So far in school I have been doing well on keeping up. So lets hope I continue on that habit!

I'm still watching the little ones two days a week. Today my dear Luke told me the sweetest thing... "Seana, when I grow up you're going to marry me." So I responded with enthusiasm "I am? Luke, I would love to marry you." He was quick to tell me "You should ask your mom." Of course I wanted him to be the gentleman, so I said "I think because you're the boy you should ask her." So quickly he responded "Mmmm... I will when I am five!" No sooner. He made that clear. Who could resist such a proposal?

I'm so excited for everyone to know that I will be going to Budapest, Hungary very soon. Campus Crusade is taking us on its fourth and final trip to this location on February 26th. It will be the first time in four years since I have asked for support but I'm really excited to see how God works. Grace Church has already told me they will help support me, which relieves some from the cost.

To be completely honest I'm going to tell you... I'm terrified of what I will do there. Sharing my faith is never an issue, it's sharing to people I don't know. All I think is... Where are they coming from? Are they hurting? What do they want to hear? How can I reach them? I'm so relieved that the Lord knows the answers, I just wish I could too.

My prayer for tonight is that the Lord will lead at least one person in my path that will come to find Jesus. I hope that who ever this person is will be blessed tonight and will have an open heart to what we will bring to those in Budapest. I also will pray that I don't take control of who it is but let God work His wonders! Pray with me.